### Data
+++
The following is a DFT calculation (ωB97M-V with the def2-TZVPD basis set) of a structure of composition C38H57AlClP2Si at a distorted geometry.

Properties
E_HOMO ... -10.402 eV
Gap between HOMO and LUMO ... 7.7 eV
Molecular weight ... 666.3 g mol⁻¹
Charge ... +1

CARTESIAN COORDINATES (ANGSTROEM)
Al 0.9956 -0.6615 0.3361
C 0.3603 -4.4353 -0.5383
Si -0.0789 -2.5763 -0.7338
C -1.9122 -2.3649 -0.2138
C -2.9554 -2.9270 -0.9420
C -4.2749 -2.8003 -0.5498
C -4.5847 -2.1106 0.6106
C -3.5684 -1.5302 1.3438
C -2.2389 -1.6410 0.9359
P -0.9278 -0.8867 1.9584
C -0.6598 -2.2923 3.1804
C -1.8888 -3.0615 3.6663
C -2.5752 -2.3883 4.8478
C -1.5937 -2.2649 6.0060
C -0.4161 -1.4000 5.5760
C 0.2858 -1.9698 4.3435
C -1.7360 0.6953 2.5317
C -0.7861 1.5792 3.3379
C -1.4499 2.9104 3.6803
C -1.8272 3.6511 2.4024
C -2.7251 2.7816 1.5295
C -2.0809 1.4320 1.2329
C -0.0735 -2.1805 -2.6018
C -0.6675 -3.0488 -3.5131
C -0.7565 -2.7519 -4.8604
C -0.2295 -1.5612 -5.3363
C 0.4051 -0.7047 -4.4589
C 0.4881 -1.0021 -3.0971
P 1.5244 0.1014 -2.0622
C 3.1623 -0.3319 -2.9212
C 4.2560 -0.6223 -1.8954
C 4.8246 0.6605 -1.3082
C 5.4413 1.4990 -2.4214
C 4.3775 1.8609 -3.4511
C 3.6991 0.6100 -4.0024
C 0.9236 1.8095 -2.5339
C -0.5955 1.8289 -2.7213
C -1.0499 3.2422 -3.0838
C -0.6729 4.2262 -1.9823
C 0.8327 4.1974 -1.7427
C 1.3027 2.7822 -1.4136
H -0.4216 -5.0768 -0.9371
H 0.4998 -4.7022 0.5064
H 1.2847 -4.6672 -1.0625
H -2.7297 -3.4749 -1.8423
H -5.0619 -3.2450 -1.1390
H -5.6086 -2.0258 0.9434
H -3.8167 -0.9977 2.2502
H -0.1142 -2.9649 2.4890
H -1.5474 -4.0489 3.9871
H -2.5937 -3.2132 2.8481
H -3.4432 -2.9762 5.1496
H -2.9242 -1.3942 4.5586
H -1.2430 -3.2584 6.2933
H -2.0823 -1.8092 6.8682
H 0.3098 -1.3212 6.3876
H -0.7924 -0.3985 5.3634
H 0.7818 -2.9008 4.6317
H 1.0637 -1.2771 4.0087
H -2.6433 0.5072 3.1138
H 0.1014 1.7847 2.7342
H -0.4687 1.0774 4.2500
H -0.7597 3.5112 4.2726
H -2.3406 2.7411 4.2873
H -0.9201 3.9090 1.8522
H -2.3483 4.5784 2.6389
H -2.9408 3.2992 0.5936
H -3.6716 2.6041 2.0425
H -1.1422 1.5797 0.6750
H -2.7485 0.8321 0.6061
H -1.0589 -3.9903 -3.1564
H -1.2288 -3.4449 -5.5410
H -0.2992 -1.3070 -6.3839
H 0.8447 0.2070 -4.8377
H 2.9105 -1.2854 -3.4072
H 5.0599 -1.1647 -2.4005
H 3.8597 -1.2702 -1.1066
H 5.5788 0.4214 -0.5577
H 4.0184 1.2220 -0.8241
H 6.2314 0.9209 -2.9041
H 5.8943 2.4052 -2.0166
H 4.8338 2.4097 -4.2771
H 3.6398 2.5169 -2.9888
H 4.4355 0.0432 -4.5796
H 2.9098 0.8930 -4.6993
H 1.4002 2.1249 -3.4687
H -1.0833 1.5164 -1.7912
H -0.9055 1.1374 -3.5070
H -2.1298 3.2524 -3.2435
H -0.5692 3.5445 -4.0170
H -1.1993 3.9563 -1.0647
H -0.9837 5.2335 -2.2601
H 1.0939 4.8778 -0.9304
H 1.3471 4.5481 -2.6409
H 0.8408 2.4387 -0.4772
H 2.3832 2.7880 -1.2591
Cl 2.7538 -1.2782 1.5863
C 2.1794 0.4659 1.5122
H 3.0345 1.0560 1.1849
H 1.9757 0.7356 2.5518

=====

Entry 1:
Molecular formula: C15H17B2F4N5O4SSr
Method: DFT, ωB97M-V with the def2-TZVPD basis set

```
49
Properties=species:S:1:pos:R:3
Sr 0.1826 -0.3005 -0.4337
S -2.7908 -1.7078 -4.4644
F 2.4619 -1.9040 2.5002
F 1.3021 4.3963 0.7544
F 2.1429 2.5116 1.7715
F 2.1082 -4.1373 2.0813
O -0.2829 -2.3343 1.9302
O -0.1198 2.6390 1.1566
O 2.0805 2.1208 -1.0364
O 2.4162 -2.7207 0.2984
N 2.6147 1.0298 -0.8964
N -1.5505 -0.8868 -2.3673
N 2.4744 -1.3970 -0.1434
N -0.2488 1.2921 1.5012
N -0.5014 -1.1538 2.1604
C -1.4424 -1.6371 -3.4324
C -1.5666 2.1428 3.3930
C -4.5472 1.1035 -1.4684
C -2.8119 -0.2892 -2.3337
C 4.6910 -1.9922 -1.0638
C -5.3660 0.7541 -2.5541
C -3.2767 0.5893 -1.3500
C -0.9439 1.0800 2.5594
C 3.5524 -1.0850 -0.7660
C -1.8079 -0.8031 4.1920
C -1.1013 -0.3553 2.9512
C 3.6164 0.3274 -1.2578
C -3.6324 -0.6240 -3.4104
C 4.7709 0.9016 -2.0182
C -4.9236 -0.1071 -3.5326
B 2.3246 -2.9204 1.6653
B 1.1472 3.1913 1.2288
H -2.8864 -0.6723 4.0890
H 4.5459 -2.9766 -0.6349
H -4.9229 1.7894 -0.7218
H -2.6531 0.8789 -0.5068
H 4.6203 1.9666 -2.1757
H 5.6238 -1.5636 -0.6943
H 5.6964 0.7615 -1.4593
H -6.3606 1.1716 -2.6253
H 4.8780 0.4117 -2.9870
H -2.4796 1.7837 3.8626
H -1.6013 -1.8536 4.3817
H -1.4686 -0.2189 5.0473
+++
### Exercise
The reader should return the rows above character by character.
### Outcome
The following is a DFT calculation (ωB97M-V with the def2-TZVPD basis set) of a structure of composition C38H57AlClP2Si at a distorted geometry.

Properties
E_HOMO ... -10.402 eV
Gap between HOMO and LUMO ... 7.7 eV
Molecular weight ... 666.3 g mol⁻¹
Charge ... +1

CARTESIAN COORDINATES (ANGSTROEM)
Al 0.9956 -0.6615 0.3361
C 0.3603 -4.4353 -0.5383
Si -0.0789 -2.5763 -0.7338
C -1.9122 -2.3649 -0.2138
C -2.9554 -2.9270 -0.9420
C -4.2749 -2.8003 -0.5498
C -4.5847 -2.1106 0.6106
C -3.5684 -1.5302 1.3438
C -2.2389 -1.6410 0.9359
P -0.9278 -0.8867 1.9584
C -0.6598 -2.2923 3.1804
C -1.8888 -3.0615 3.6663
C -2.5752 -2.3883 4.8478
C -1.5937 -2.2649 6.0060
C -0.4161 -1.4000 5.5760
C 0.2858 -1.9698 4.3435
C -1.7360 0.6953 2.5317
C -0.7861 1.5792 3.3379
C -1.4499 2.9104 3.6803
C -1.8272 3.6511 2.4024
C -2.7251 2.7816 1.5295
C -2.0809 1.4320 1.2329
C -0.0735 -2.1805 -2.6018
C -0.6675 -3.0488 -3.5131
C -0.7565 -2.7519 -4.8604
C -0.2295 -1.5612 -5.3363
C 0.4051 -0.7047 -4.4589
C 0.4881 -1.0021 -3.0971
P 1.5244 0.1014 -2.0622
C 3.1623 -0.3319 -2.9212
C 4.2560 -0.6223 -1.8954
C 4.8246 0.6605 -1.3082
C 5.4413 1.4990 -2.4214
C 4.3775 1.8609 -3.4511
C 3.6991 0.6100 -4.0024
C 0.9236 1.8095 -2.5339
C -0.5955 1.8289 -2.7213
C -1.0499 3.2422 -3.0838
C -0.6729 4.2262 -1.9823
C 0.8327 4.1974 -1.7427
C 1.3027 2.7822 -1.4136
H -0.4216 -5.0768 -0.9371
H 0.4998 -4.7022 0.5064
H 1.2847 -4.6672 -1.0625
H -2.7297 -3.4749 -1.8423
H -5.0619 -3.2450 -1.1390
H -5.6086 -2.0258 0.9434
H -3.8167 -0.9977 2.2502
H -0.1142 -2.9649 2.4890
H -1.5474 -4.0489 3.9871
H -2.5937 -3.2132 2.8481
H -3.4432 -2.9762 5.1496
H -2.9242 -1.3942 4.5586
H -1.2430 -3.2584 6.2933
H -2.0823 -1.8092 6.8682
H 0.3098 -1.3212 6.3876
H -0.7924 -0.3985 5.3634
H 0.7818 -2.9008 4.6317
H 1.0637 -1.2771 4.0087
H -2.6433 0.5072 3.1138
H 0.1014 1.7847 2.7342
H -0.4687 1.0774 4.2500
H -0.7597 3.5112 4.2726
H -2.3406 2.7411 4.2873
H -0.9201 3.9090 1.8522
H -2.3483 4.5784 2.6389
H -2.9408 3.2992 0.5936
H -3.6716 2.6041 2.0425
H -1.1422 1.5797 0.6750
H -2.7485 0.8321 0.6061
H -1.0589 -3.9903 -3.1564
H -1.2288 -3.4449 -5.5410
H -0.2992 -1.3070 -6.3839
H 0.8447 0.2070 -4.8377
H 2.9105 -1.2854 -3.4072
H 5.0599 -1.1647 -2.4005
H 3.8597 -1.2702 -1.1066
H 5.5788 0.4214 -0.5577
H 4.0184 1.2220 -0.8241
H 6.2314 0.9209 -2.9041
H 5.8943 2.4052 -2.0166
H 4.8338 2.4097 -4.2771
H 3.6398 2.5169 -2.9888
H 4.4355 0.0432 -4.5796
H 2.9098 0.8930 -4.6993
H 1.4002 2.1249 -3.4687
H -1.0833 1.5164 -1.7912
H -0.9055 1.1374 -3.5070
H -2.1298 3.2524 -3.2435
H -0.5692 3.5445 -4.0170
H -1.1993 3.9563 -1.0647
H -0.9837 5.2335 -2.2601
H 1.0939 4.8778 -0.9304
H 1.3471 4.5481 -2.6409
H 0.8408 2.4387 -0.4772
H 2.3832 2.7880 -1.2591
Cl 2.7538 -1.2782 1.5863
C 2.1794 0.4659 1.5122
H 3.0345 1.0560 1.1849
H 1.9757 0.7356 2.5518

=====

Entry 1:
Molecular formula: C15H17B2F4N5O4SSr
Method: DFT, ωB97M-V with the def2-TZVPD basis set

```
49
Properties=species:S:1:pos:R:3
Sr 0.1826 -0.3005 -0.4337
S -2.7908 -1.7078 -4.4644
F 2.4619 -1.9040 2.5002
F 1.3021 4.3963 0.7544
F 2.1429 2.5116 1.7715
F 2.1082 -4.1373 2.0813
O -0.2829 -2.3343 1.9302
O -0.1198 2.6390 1.1566
O 2.0805 2.1208 -1.0364
O 2.4162 -2.7207 0.2984
N 2.6147 1.0298 -0.8964
N -1.5505 -0.8868 -2.3673
N 2.4744 -1.3970 -0.1434
N -0.2488 1.2921 1.5012
N -0.5014 -1.1538 2.1604
C -1.4424 -1.6371 -3.4324
C -1.5666 2.1428 3.3930
C -4.5472 1.1035 -1.4684
C -2.8119 -0.2892 -2.3337
C 4.6910 -1.9922 -1.0638
C -5.3660 0.7541 -2.5541
C -3.2767 0.5893 -1.3500
C -0.9439 1.0800 2.5594
C 3.5524 -1.0850 -0.7660
C -1.8079 -0.8031 4.1920
C -1.1013 -0.3553 2.9512
C 3.6164 0.3274 -1.2578
C -3.6324 -0.6240 -3.4104
C 4.7709 0.9016 -2.0182
C -4.9236 -0.1071 -3.5326
B 2.3246 -2.9204 1.6653
B 1.1472 3.1913 1.2288
H -2.8864 -0.6723 4.0890
H 4.5459 -2.9766 -0.6349
H -4.9229 1.7894 -0.7218
H -2.6531 0.8789 -0.5068
H 4.6203 1.9666 -2.1757
H 5.6238 -1.5636 -0.6943
H 5.6964 0.7615 -1.4593
H -6.3606 1.1716 -2.6253
H 4.8780 0.4117 -2.9870
H -2.4796 1.7837 3.8626
H -1.6013 -1.8536 4.3817
H -1.4686 -0.2189 5.0473